View Full Version : Peugeot 407 stage 1 with WinOLS

30th January, 2022, 05:33 AM
Hi, thanks a user i applied a stage 1 to my peugeot 407 rhr sid803a 136cv manual gearbox. With WinOLS i check some value and i wont know the meaning:
for example: "scaling factor" is for automatic gearbox? (because i have manual six gears and i read five gear).

[Records of molecules from another source follow]
(1)
Entry from the Open Molecules 2025 dataset: 2 unconnected molecules or ions with the total composition C3H2ClNO2 in a non-equilibrium geometry (ωB97M-V/def2-TZVPD).

Values from the calculation:
- Energy relative to the best compared isomer or geometry (same formula, charge and spin): 608.8 kJ/mol
- E_HOMO (alpha / beta): -8.83 / -10.97 eV
- LUMO energy (alpha / beta): -1.177 / -1.830 eV
- DFT total energy: -780.7193 Eh

CARTESIAN COORDINATES (ANGSTROEM)
C 1.0824 -1.2500 0.0153
C 1.6346 -0.0374 -0.4204
C -0.8541 0.5355 0.3966
N 0.2399 -0.1792 -0.0395
O 0.9554 -2.3402 0.4954
O 2.3157 0.8767 -0.7618
Cl -0.9039 2.2534 0.0835
H -1.7014 0.1129 1.0417
H -2.7685 0.0283 -0.8106

Force components x, y, z for each atom (eV/Å):
-1.304 -3.211 1.979
-0.097 2.754 -0.945
-1.092 -0.599 0.057
-1.255 2.797 0.070
1.020 -0.105 -0.629
0.251 -1.010 0.160
0.257 -1.171 0.250
1.866 0.550 -1.020
0.356 -0.006 0.079

How is the electron density shared among the atoms? According to Löwdin, the charges in e are: number 1, C, carries -0.352; number 2, C, carries -0.259; number 3, C, carries -0.554; number 4, N, carries 0.066; number 5, O, carries 0.137; number 6, O, carries 0.153; number 7, Cl, carries 0.606; number 8, H, carries 0.074; number 9, H, carries 0.129

=====

(2)
Entry from the Open Molecules 2025 dataset: a molecular structure, C34H38N4P2S2Tl in a non-equilibrium geometry (ωB97M-V/def2-TZVPD).

Values from the calculation:
- Energy relative to the best compared isomer or geometry (same formula, charge and spin): 29.5 kJ/mol
- E_HOMO: -10.15 eV
- LUMO energy: -2.556 eV
- Total charge: +1
- DFT total energy: -3188.8746 Eh

CARTESIAN COORDINATES (ANGSTROEM)
Tl -0.4664 -1.0847 1.8684
N 1.7828 1.4456 0.8894
P 2.2745 -0.1712 0.6192
C 4.0200 0.0815 1.1306
C 4.5061 -0.5292 2.2789
C 5.8045 -0.2890 2.6968
C 6.6234 0.5600 1.9739
C 6.1402 1.1734 0.8283
C 4.8460 0.9359 0.4062
C 2.5596 -0.3217 -1.1961
C 2.0329 0.5571 -2.1326
C 2.2626 0.3552 -3.4833
C 3.0100 -0.7301 -3.9087
C 3.5301 -1.6171 -2.9770
C 3.2943 -1.4231 -1.6297
P 0.1290 1.8762 0.6167
C 0.4684 3.6558 0.3425
C 1.1774 4.3487 1.3192
C 1.5279 5.6683 1.1144
C 1.1732 6.3072 -0.0638
C 0.4562 5.6231 -1.0290
C 0.1029 4.2979 -0.8305
C -0.4748 2.0270 2.3532
C -1.7107 2.6367 2.5446
C -2.2964 2.6432 3.7967
C -1.6656 2.0201 4.8625
C -0.4377 1.4058 4.6791
C 0.1614 1.4095 3.4297
H 2.4577 2.1649 0.6364
H 3.8635 -1.1939 2.8396
H 6.1732 -0.7633 3.5928
H 7.6355 0.7456 2.3003
H 6.7726 1.8406 0.2643
H 4.4788 1.4080 -0.4959
H 1.4488 1.4102 -1.8061
H 1.8627 1.0505 -4.2067
H 3.1889 -0.8867 -4.9624
H 4.1336 -2.4512 -3.3060
H 3.7036 -2.1080 -0.8983
H 1.4501 3.8488 2.2380
H 2.0808 6.1956 1.8750
H 1.4585 7.3353 -0.2286
H 0.1728 6.1142 -1.9462
H -0.4546 3.7569 -1.5822
H -2.2075 3.1020 1.7028
H -3.2528 3.1226 3.9385
H -2.1318 2.0125 5.8354
H 0.0561 0.9174 5.5055
H 1.1453 0.9710 3.2916
S -3.0370 0.1137 0.6380
C -4.6740 -0.2442 0.7016
N -5.4101 0.0513 -0.4140
C -6.7391 -0.1407 -0.5226
C -7.4452 -0.6690 0.5151
C -6.7473 -0.9844 1.7018


11th February, 2022, 05:23 AM
UP, Thanks

12th February, 2022, 12:27 PM
Hi my friend, I think I will help you once again :top:

The 6th speed is detected as 5th speed on this ECU, so the ECU apply the same correction when you are in 5th or 6th gear ration. Look picture of engaged gear detection (gear ration is calculate by doing engine speed/vehicule speed)
Nevertheless for me those maps are usefull for vehicle speed limitor/regulator and make a pedal torque request correction. Not sure they will help you to increase significatively the real torque demand.
Before to change the maps "TQ TO MF", try to increase the maps of torque limitaion I have sent you by PM.
Be carrefull, make a first test by decrease the torque (for example limit all value over 200N.m at 200N.m) if that's work (low power) them you can start to tune by increasing the torque step by step.
Remember like last time for your particule filter, my help is based on theory and my knowledge. Hope it will be helpfull too, if yes don't forget the buttons :tranquillity:
i.e the torque maps are in indicated torque, you need to substract the torque loss (friction) to have an idea of the effective torque.


16th February, 2022, 06:46 AM
Hi, i upload the image with original value.
Ok for somethings but for other i have doubt
1) MFTQLM -> limit the max fuel mass. If i increase this value is only for the max.
2) TQTI -> limit the max torque. If i set to excessive value what can happen?
3) TQ2MF -> it is the map relative to fuel mass in relation to nm (but it is "024nm" or "1024nm"?). Is it useful increase the low value? (for example to aquire more acceleration?). Upper "1324nm" ("1574nm", i think the max value) there insn't a limitation by this map.
4) MF2TQI -> it is the map relative to nm in relation to fuel mass. I don't understand how this value can limit the power (i don't think there is a sensor). For example if i set all value below 100mg/stk equal to this value (for example at 2000rpm, 30mg/stk to 557nm) i remove the limit of this map and i can play only with the value relative to fuel mass?

-- Data records, kept here for reference --
____________
Entry from OMol25: an isolated molecule of C3H7BO3 (ωB97M-V/def2-TZVPD).

Structure (XYZ):
```
14
Properties=species:S:1:pos:R:3:forces:R:3
B -0.1324 -0.3252 1.5313 -0.265 -2.899 -0.389
C 0.3443 0.6965 -0.6335 1.971 -0.333 0.933
C -0.2803 0.3891 -1.9828 0.226 -1.051 -0.797
C 0.7172 -0.5707 0.2333 0.104 -0.840 -2.623
O 0.6738 1.7859 -0.1806 -0.816 -0.580 -1.219
O -0.9856 -1.3587 1.8532 -0.861 0.529 0.787
O -0.0701 0.8127 2.1783 -1.798 -0.236 2.616
H -1.0247 -0.4337 -1.9581 0.586 0.260 0.488
H 0.5615 -0.0190 -2.6251 -0.807 0.485 0.697
H -0.7943 1.1542 -2.5491 0.346 0.758 0.291
H 0.2812 -1.4062 -0.3652 0.134 0.248 0.830
H 1.8272 -0.8962 0.2553 -1.582 1.388 0.276
H -1.6528 -1.1381 2.5427 0.856 -0.165 -0.589
H 0.5349 1.3092 1.7003 1.905 2.436 -1.302
```
Forces are in eV/Å.

As for the energy above the lowest of the compared OMol25 structures with the same formula, charge and spin: 6.5 kcal/mol. For the HOMO-LUMO gap, the calculation gives 10.5 eV.

Entry from OMol25: an isolated molecule of C3H7BO3 (ωB97M-V/def2-TZVPD).

Structure (XYZ):
```
14
Properties=species:S:1:pos:R:3:forces:R:3
B -0.1394 1.8249 -1.0500 -0.441 -0.139 -0.229
C -0.5469 0.3332 -0.9029 5.218 -3.658 6.695
C 0.1192 -0.5986 0.2254 -3.443 6.076 -5.594
C 0.1534 -2.5210 1.4991 1.629 -3.324 1.648
O 1.1144 2.2230 -1.4402 -0.381 -2.970 0.769
O -1.2077 2.6537 -0.8149 -0.410 3.189 -0.623
O -0.2435 -1.8299 0.3842 -1.801 -0.935 -0.706
H -1.1519 -0.2181 -1.5233 -1.571 -0.971 -1.378
H 0.7145 -0.1542 0.9911 0.610 0.263 0.427
H 0.7528 -3.3635 1.1058 -0.514 -0.217 0.046
H -0.6030 -3.0758 2.2332 0.962 2.049 -1.744
H 0.9840 -2.0268 2.0027 -0.580 0.644 0.703
H 1.2590 3.0900 -1.6853 0.288 2.867 -0.540
H -1.2049 3.6632 -1.0250 0.433 -2.874 0.525
```
Forces are in eV/Å.

As for the energy above the lowest of the compared OMol25 structures with the same formula, charge and spin: 76.5 kcal/mol. For the HOMO-LUMO gap, the calculation gives 8.0 eV.

Entry from OMol25: an isolated molecule of C3H7Br (ωB97M-V/def2-TZVPD).

Structure (XYZ):
```
11
Properties=species:S:1:pos:R:3:forces:R:3
C 2.0645 0.1692 -0.0258 -2.086 -0.786 1.469
C -2.3411 -0.8361 0.0179 -1.443 4.025 1.588
C 0.9796 1.1770 0.0038 -1.124 1.455 -0.488
Br -0.8048 0.5090 0.6550 0.739 -0.301 -0.811
H 2.2732 -0.3259 -0.9306 0.231 -0.797 -1.213
H 2.9003 0.6983 0.2872 1.960 1.179 0.365
H 1.8923 -0.5405 0.8135 0.123 0.104 -0.712
H -2.1061 -1.8402 0.0149 0.815 -1.904 -0.304
H -2.7508 -0.3549 -0.8911 0.264 -0.734 0.532
H -2.9828 -0.5712 0.9368 0.628 -0.643 -1.599
H 0.8758 1.9152 -0.8815 -0.107 -1.598 1.171
```
Forces are in eV/Å.

As for the energy above the lowest of the compared OMol25 structures with the same formula, charge and spin: 94.0 kcal/mol. For the HOMO-LUMO gap (alpha / beta), the calculation gives 7.4 / 7.4 eV.

Entry from OMol25: a cluster of 2 separate species, C3H7Br in total (ωB97M-V/def2-TZVPD).

Structure (XYZ):
```
11
Properties=species:S:1:pos:R:3:forces:R:3
C 0.0170 -1.3851 -0.3235 0.887 1.111 0.624
____________
-- End of the data records --

That i don't understand it is the correlation by fuel mass and newton. For example i have:
- RPM 2000
- Pedal to 50%->correction map pedal is egual to 0.59 (and this value is valid for torque)
- TQTI*pedal_value= 387.750*0.59=228,77nm
Now how use this value for selection of the fuel mass?
If i find the value near in the TQ2MF is between 29,53mg and 35,36mg. If i use the value to MFtoTQI is between 35mg and 40mg. Where is i err?

Thanks you very much.

Thanks you very much.

24th February, 2022, 05:52 AM
UP, thanks

1st May, 2022, 04:48 AM
Up, Thanks